It’s crunch time for the sanitation crew. To drive revenue and boost throughput, bakeries are extending production runs and sometimes testing the limits on how long they can operate between scheduled downtime.

As a result, many sanitation departments are getting the short end of the broomstick.

Remember when direct-store-delivery bakeries regularly shut down their lines on Tuesdays and Saturdays for cleaning and maintenance? As five-day production weeks grow to six and seven, two days a week have become one day or even one shift for sanitation.

Often deep cleaning happens overnight or on weekends, which makes it more difficult to attract new high-performing hires to do the work. Such changes in attitudes are also altering the dynamics for bakery support departments.

“Gone are the days of dedicated sanitation crews,” said Karl Thorson, global food safety and sanitation manager, General Mills, Minneapolis. “We have some small crews that are doing environmental, peripheral-type cleaning, but most of the cleaning is being done by the operations team, and that gives us the ultimate flexibility. Gone are the days of a dedicated shift and team to clean. That just doesn’t happen as much. It still does in the big meat plants, but in our plants, we’ve got to be able to stop operations on any shift on any day to clean.”

Artisan bakeries with dozens of changeovers tend to struggle the most with downtime because they must rely on more frequent cleaning actions throughout the day. Bret Zaher, manager at AIB International, suggested that creative scheduling could bolster throughput for these operations.

“There is no easy way to boost production uptime while reducing sanitation time and resources,” he noted.

_These crystal structures were left in the article by mistake_
____________
No. 1
Diffraction record for La2Cd2I. The powder XRD pattern is computed, not measured: it uses a DFT-relaxed cell (GGA-PBE, OQMD) and Cu Ka.
Neutral-atom scattering factors, no anomalous dispersion.

Largest 12 diffraction maxima, in order of rising 2θ, 2θ = 10–80°:
d [Å], Position (°2θ), I (rel.)
7.956, 11.12, 118
4.154, 21.39, 126
3.682, 24.17, 119
2.873, 31.13, 1000
2.398, 37.50, 556
2.235, 40.35, 46
1.989, 45.61, 104
1.841, 49.51, 270
1.531, 60.47, 264
1.460, 63.73, 249
1.385, 67.67, 95
1.263, 75.22, 78

Cell and atoms:
```
La2Cd2I
1.0
4.7964 0.0000 0.0000
-2.3982 4.1538 0.0000
0.0000 0.0000 7.9560
La Cd I
2 2 1
Cartesian
0.0000 0.0000 1.9283
0.0000 0.0000 6.0277
0.0000 2.7692 0.0000
2.3982 1.3846 0.0000
2.3982 1.3846 3.9780
```

=====

No. 2
Diffraction record for La2Al2W. The powder XRD pattern is computed, not measured: it uses a DFT-relaxed cell (GGA-PBE, OQMD) and Cu Ka.
Neutral-atom scattering factors, no anomalous dispersion.

Largest 12 diffraction maxima, in order of rising 2θ, 2θ = 10–80°:
d [Å], Position (°2θ), I (rel.)
4.305, 20.63, 895
2.968, 30.11, 367
2.898, 30.86, 699
2.810, 31.85, 1000
2.684, 33.39, 604
2.317, 38.86, 581
2.216, 40.72, 675
1.880, 48.42, 216
1.810, 50.42, 273
1.577, 58.52, 296
1.504, 61.65, 184
1.448, 64.33, 265

Cell and atoms:
```
La2Al2W
1.0
0.0000 9.0842 2.3981
5.7954 0.0000 2.3981
5.7954 9.0842 0.0000
La Al W
4 4 2
Cartesian
3.0039 1.2422 1.1990
5.9016 3.2999 2.3981
2.7915 7.8420 1.1990
5.6891 14.8684 2.3981
5.6626 7.8313 2.4263
5.9281 10.3371 2.4263
8.8258 12.3734 3.6254
8.5603 14.8792 3.6254
5.7954 9.0842 0.0251
2.8977 4.5421 1.2241
```

=====

No. 3
Diffraction record for TeWSe3Br. The powder XRD pattern is computed, not measured: it uses a DFT-relaxed cell (GGA-PBE, OQMD) and Cu Ka.
Neutral-atom scattering factors, no anomalous dispersion.

Largest 12 diffraction maxima, in order of rising 2θ, 2θ = 10–80°:
d [Å], Position (°2θ), I (rel.)
7.158, 12.37, 684
6.583, 13.45, 1000
6.449, 13.73, 523
3.952, 22.50, 108
2.901, 30.82, 128
2.749, 32.57, 118
2.732, 32.78, 179
2.712, 33.03, 140
2.568, 34.94, 139
2.534, 35.43, 177
2.093, 43.22, 114
1.957, 46.40, 121

Cell and atoms:
```
TeWSe3Br
1.0
6.5336 0.0000 0.0000
-1.3703 7.3194 0.0000
-1.9339 -3.8411 7.1580
Te W Se Br
2 2 6 2
Cartesian
-0.0018 -0.1906 2.1782
3.2312 3.6689 4.9798
1.8338 -0.0008 0.0016
2.7659 -3.8403 7.1564
-1.9332 -1.9236 6.8781
-0.0352 1.7657 5.8894
1.3299 -2.0714 5.9566
1.8996 5.5497 1.2014
3.2646 1.7126 1.2686
5.1627 5.4019 0.2799
-0.0271 2.7043 3.1979
3.2565 0.7740 3.9601
```

=====

No. 4
Diffraction record for ZrF4. The powder XRD pattern is computed, not measured: it uses a DFT-relaxed cell (GGA-PBE, OQMD) and Cu Ka.
Neutral-atom scattering factors, no anomalous dispersion.

Largest 12 diffraction maxima, in order of rising 2θ, 2θ = 10–80°:
d [Å], Position (°2θ), I (rel.)
3.859, 23.05, 773
3.823, 23.26, 481
3.617, 24.62, 625
3.412, 26.11, 1000
3.267, 27.30, 362
3.031, 29.47, 348
2.989, 29.89, 238
1.904, 47.78, 308
1.895, 48.00, 308
____________

However, he added, there are several tricks of the trade. Some baking sites set up longer runs first, which leave the changeovers for last. Other plants run organic and other identity-preserved baked goods before conventional ones to reduce downtime caused by changeovers. Scheduling allergen production at the end of the week cuts cleaning time.

Some companies have installed smaller lines or satellite sites for shorter production runs that allow larger, more efficient lines to operate longer.

Typically, bakeries that freeze baked goods or manufacture products with an extended shelf life have more options, such as building inventory to extend capacity. Whether the bakery produces artisan bread or melba toast, Mr. Thorson recommended developing a cross-functional team that’s focused on food safety to explore every possible way to safely streamline sanitation. 

“We’ve got to have maintenance, engineering, operations, safety and logistics to focus on changeovers,” he said. “The best changeover we do is the one that we don’t have to do, so we need to challenge that matrix and say, ‘What if we scheduled differently? What is the cost of inventory versus the changeover? Instead of running that product every week, could we run it every two weeks?’ The criteria should be food safety as well as cleaning for human safety and for equipment reliability. You’ve got to start with the success criteria, being crystal clear with what those success criteria are, and then you can challenge the way to meet those success criteria.”

One way to improve efficiency is to share the load when it comes to sanitation.

“It’s important to stress that only ‘sanitation’ is the responsibility of the sanitation staffing,” said Nathan Mirdamadi, food safety manager, Commercial Food Sanitation, an Intralox company. “Cleaning and housekeeping are the responsibility of everyone, and a key piece is having a departmental ‘hand-off’ process, including documentation with clear expectations and accountability.”

Mr. Zaher pointed out that a bakery operates as an interconnected system.

“Sanitation can’t be properly executed without help from the production team, and maintenance needs the areas and equipment reasonably cleaned so they can do their job,” he said.

Mr. Thorson noted that bakers need to be mindful of how the actions of one department affect another.

“What if I’m allowed to run the line longer from a food safety and quality standpoint? How is that going to impact maintenance? Will we still have to take the line down because we’ve got to do preventive maintenance?” he asked. “It’s about bringing all the right parties together and really understanding how to standardize the program.”

Mr. Zaher offered a number of ways that production can help reduce sanitation time. Operators, for instance, can be instructed to remove all the ingredients, packaging and work-in-progress containers from the production area or scrape and remove much of the heavy debris off a production line. They can even assist by cleaning the pans or trays at the end of their shift.

“They could have two sets of utensils, containers and even portable equipment,” he said. “That way, the dirty set can be cleaned during the week and be ready for the switch during the down day. They can also install extra holding and mixing tanks so that they can switch back-and-forth during the week and clean one while the other is in use.”

Mr. Mirdamadi stressed that bakers must remain cognizant of safety risks when extending production runs.

“First and foremost, can the facility maintain sanitary conditions, including microbiologically? As part of that process, a risk assessment must be completed to understand if the product can support bacterial toxin development that can survive many kill steps,” he said. “Finally, especially in dry facilities, the control of dust and cleaning frequency can be a very important consideration for pest and combustible dust risks.”

With only so many hours in a day, longer production runs only mean less time for cleaning and sanitation. Bakeries need to get everyone involved and smartly coordinate scheduling to ensure they can maximize throughput while keeping their houses in order.

This article is an excerpt from the October 2023 issue of Baking & Snack. To read the entire feature on Sanitationclick here.